“Come on, hurry the fuck up!” I command, my voice hoarse from yelling Andrea’s name when I heard the sickening crunch of what sounded like her car crashing into something.
Tanner wordlessly increases the car’s speed. My face remains glued to my phone, monitoring her movement. She’s been still for the past ten minutes. After her car had crashed, someone probably transferred her to their vehicle. Most likely the black van she had mentioned. And that vehicle moved and kept moving for an agonizing fifty minutes, only coming to an eventual stop on Boston street.
My grip tightens on the phone. Somebody has my fiancée, and I have no idea who. He better pray to God that not a hair is harmed on her head, or I’m going to make him see God…and not in a good way.
“Are they still at that address?” Crew asks. He’s sitting next to me, his knees bobbing up and down. I give him a short nod and return my gaze to the tracker.
“We’re almost there, Massimo. We’ll get her and the bastard that has her,” Isaac says from the passenger seat. I nod again. I will get her. Behind my Jeep are four more cars filled with my men. Whoever took her is going to regret it.
Crew tries to say something else, but I shut him down. My fingers start tapping on the screen rhythmically as I shut out intrusive thoughts. I’m about to crawl out of my fucking skin with how antsy I am.
Nobody tries to talk for the rest of the drive until Tanner slows the car down a few blocks away from the actual address. We’re trying to catch them by surprise. Whoever has her probably has no idea that she wears a tracker; they might relax, thinking there’s no way for me to find her until they reach out. Going in with a convoy of cars will ruin the element of surprise.
My men and I silently get out of our cars. I glance at them all. “Crew and Isaac, you’re with me. The rest of you, you can have everyone else, but whoever is in charge is mine. Keep him alive for me.” They nod in unison, and we’re off.
We walk silently through the streets, melting into the darkness. It’s an industrial area with a line of warehouses, one of which Andrea is being held in. Isaac grabs my arm, stopping me. “Hold on, Massimo. Something feels off. What if it’s a trap?” he asks in a low voice.
“Do I look like I fucking care?” I snarl.
“Look, all I’m saying is what if Andrea isn’t here at all, and they somehow know her ring is being tracked–”
I hold up a hand to stop him. “She’s here.” Why does everyone keep thinking I put a tracker in her ring? I shrug his hand off and make my way to the warehouse the tracker is showing Andrea is in. I close the app and tuck my phone in my pocket; then I pull out my gun as I approach the door.
I nod at Crew to open the door; as soon as he does, a scene straight out of a nightmare is waiting for me: Andrea’s sitting on the floor, a line of blood dripping from her temple. Her feet are cuffed to a fucking chair; a man looms over her with a curved knife hanging from his hand. I cock my gun.
The man stiffens, obviously hearing the sound; then he moves fast, positioning himself behind her. Isaac gasps behind me when we see the man’s face: Dominic Rossi. Fuck, I should’ve known. He’d been quiet, too quiet.
He locks his hand around her neck and yanks her up. I don’t miss Andrea’s wince as he uses her body to shield his, positioning his knife against her neck. “Take one step closer and I’ll slit her throat. Don’t test me, Massimo.”
I go still, my gaze dropping to Andrea. How can she look so calm? “Don’t listen to him, Hudson, shoot,” she says.
“Shut the fuck up, bitch.” He presses the knife deeper into her skin until the delicate flesh breaks and blood slowly beads out. Raw heat washes through my body as I watch; my body shakes with barely-contained rage. Movement catches my eye at his back. It’s Tanner, Eli, and three of my men coming through the back door.
I give the slightest shake of my head when Tanner raises his gun at Dominic. What if the bullet passes through his body and into Andrea’s? I can’t risk it.
“You know what you’re doing is a break of the truce act and is punishable by death?” I ask Dominic calmly, trying to distract him so he doesn’t notice Tanner slowly closing in on him.
“Not only your death, Dominic. Your brother… and the men you have here. And your loved ones,” Isaac adds next to me. “I read a copy of the contract.”
_Unrelated to this text: materials data_
........
NdTa7O19 | PBE | optimized geometry

abc: 6.2908 6.2908 20.1539
angles: 90.00 90.00 120.00
Atoms (fractional coordinates):
O: 0.2502 0.9584 0.7500
Ta: 0.3333 0.6667 0.5000
Ta: 0.0259 0.3347 0.8441
Ta: 0.6653 0.6912 0.6559
Ta: 0.0259 0.3347 0.6559
O: 0.2502 0.2919 0.2500
O: 0.2868 0.3845 0.4432
O: 0.0000 0.0000 0.8680
O: 0.9116 0.5784 0.6533
O: 0.2868 0.9023 0.9432
Nd: 0.0000 0.0000 0.5000
Ta: 0.3333 0.6667 0.0000
O: 0.7081 0.9584 0.2500
O: 0.0977 0.7132 0.4432
O: 0.4216 0.0884 0.1533
O: 0.0000 0.0000 0.6320
Ta: 0.0259 0.6912 0.3441
O: 0.0977 0.7132 0.0568
O: 0.4216 0.3332 0.8467
O: 0.0000 0.0000 0.1320
O: 0.3333 0.6667 0.3329
Ta: 0.3088 0.9741 0.8441
O: 0.4216 0.3332 0.6533
O: 0.3333 0.6667 0.8329
O: 0.3333 0.6667 0.1671
O: 0.0416 0.2919 0.7500
O: 0.4216 0.0884 0.3467
O: 0.0416 0.7498 0.2500
O: 0.6155 0.7132 0.9432
O: 0.7081 0.7498 0.7500
O: 0.0000 0.0000 0.3680
Ta: 0.3088 0.3347 0.3441
O: 0.2868 0.3845 0.0568
O: 0.6668 0.0884 0.6533
O: 0.6155 0.9023 0.4432
Ta: 0.6653 0.9741 0.1559
O: 0.0977 0.3845 0.5568
Ta: 0.6653 0.9741 0.3441
O: 0.6668 0.5784 0.3467
O: 0.9116 0.3332 0.3467
O: 0.6155 0.7132 0.5568
Ta: 0.3088 0.3347 0.1559
Nd: 0.0000 0.0000 0.0000
O: 0.2868 0.9023 0.5568
O: 0.6668 0.0884 0.8467
Ta: 0.6653 0.6912 0.8441
Ta: 0.3088 0.9741 0.6559
O: 0.6668 0.5784 0.1533
O: 0.0977 0.3845 0.9432
O: 0.3333 0.6667 0.6671
O: 0.9116 0.3332 0.1533
Ta: 0.0259 0.6912 0.1559
O: 0.9116 0.5784 0.8467
O: 0.6155 0.9023 0.0568

Energy above the most stable polymorph in this dataset   0.000 eV/atom
Uncorrected energy   -9.670 eV/atom
Space group   P-6c2, No. 188
Formation energy from the elements   -8912.6 kJ/mol of formula units

***

K2RbGaBr6 | PBE | optimized geometry

abc: 8.1788 8.1788 8.1788
angles: 60.00 60.00 60.00
Atoms (fractional coordinates):
Br: 0.2216 0.7784 0.2216
K: 0.2500 0.2500 0.2500
Ga: 0.0000 0.0000 0.0000
Br: 0.2216 0.2216 0.7784
Br: 0.7784 0.7784 0.2216
Br: 0.2216 0.7784 0.7784
Br: 0.7784 0.2216 0.7784
Br: 0.7784 0.2216 0.2216
K: 0.7500 0.7500 0.7500
Rb: 0.5000 0.5000 0.5000

Uncorrected energy   -2.888 eV/atom
Space group   Fm-3m, No. 225
Formation energy from the elements   -1547.1 kJ/mol of formula units

***

Na6CaTa5Si6P3O36 | PBE | optimized geometry

abc: 9.0057 9.0057 22.8487
angles: 89.92 90.08 120.06
Atoms (fractional coordinates):
O: 0.0258 0.1906 0.9082
O: 0.3055 0.8328 0.9711
Si: 0.3359 0.9582 0.9161
O: 0.8519 0.3560 0.9256
O: 0.8445 0.5476 0.7508
O: 0.4664 0.3744 0.1465
Ca: 0.6724 0.3332 0.6835
O: 0.1811 0.0065 0.3057
O: 0.4757 0.1669 0.5279
Ta: 0.0023 0.0008 0.1439
O: 0.8128 0.8326 0.9083
P: 0.2769 0.2870 0.7520
O: 0.1674 0.1872 0.4083
O: 0.8042 0.9701 0.6928
O: 0.0226 0.8333 0.4067
O: 0.2896 0.8254 0.2567
O: 0.3054 0.4714 0.4715
O: 0.1815 0.0235 0.5907
O: 0.1856 0.1731 0.8055
Ca: 0.6668 0.3276 0.1835
O: 0.5327 0.8383 0.4737
Si: 0.3354 0.3783 0.4164
Na: 0.0258 0.3413 0.0852
Na: 0.3761 0.3684 0.2432
P: 0.0069 0.7216 0.7527
O: 0.3376 0.4952 0.0706
O: 0.9935 0.8189 0.8057
O: 0.1650 0.9665 0.1964
O: 0.8094 0.9742 0.4082
........
“So what? I have nothing but my life left, anyway. All because of him!” Spit flies out of his mouth as he glares at me, but my focus remains on Andrea. “I am the rightful king of Providence. I would have been the one controlling the city if he hadn’t swooped in and stolen it from me,” he continues angrily. “But that wasn’t enough. He had to go after the small slice of territory I had left as well.”
“That was because you tried to kill me. And if you recall, a man of your choosing replaced you. That’s hardly me going after your territory.” I remind him calmly even as my heart thunders desperately. He’s unhinged.
“Shut up! You think I care about semantics and–” Tanner is right behind him and hits the back of his head with the butt of his gun. Dominic’s eyes go wide, and for a terrifying heartbeat, I think he’s going to slash the knife around Andrea’s throat, but it clatters out of his hand as he crumbles to the floor.
Without the support of that bastard behind her, Andrea sways. I rush to her, grabbing her before she can hit the floor. “I’m here, pet. I’m here.” I murmur as I hug her tightly. Just then, the soft sounds of silenced gunshots fill the air outside. My men are disposing of Dominic’s accomplices.
“Take me home, Hudson. I want to go home,” Andrea whispers. I move away from her so I can place one arm under her knees, the other around her shoulders, and carry her out with her head tucked protectively against my chest.
As I leave the warehouse, I instruct Eli, “Cut out his tongue and take him and his brother to the ranch.” I’ll deal with them after taking care of Andrea. Tanner, Isaac and Crew cut a path to where the cars are parked, and I take my queen home.
Killian is waiting for us at the front door. He follows Andrea and me up to our bedroom, where he looks her over. He glues the wound on her temple shut, but she also has bruises from the seat belt cutting into her and a knot at the back of her head. Seeing her like that stokes my anger. I inhale deeply to calm myself. I’ll get to Dominic; he’s going to wish he was never born.
“Can we talk outside?” Killian asks as he packs up. I go to stand up, but Andrea grabs my hand.
“Don’t go,” she whispers, and that’s that. I remain seated next on the bed and adjust my hand so that our fingers are linked.